Для конвертации, нужно нажать “Convert machine” и указать исходную машину с Linux:
И после доступы до гипервизора с ESXi:
На следующем шаге предоставляется возможность выбора Data Store для будущей виртуальной машины:
И в заключении также дается более детальная настройка параметров. Например, для разных дисков можно указать разные Storage:
На последнем шаге можно выбрать, что делать с исходной машиной и машиной, которая будет скопирована: например, выключить после завершения миграции.
При использовании vCenter Converter Standalone версии 6.2.0, в самом конце миграции возникает ошибка (Red Hat Enterprise Linux 7.6 или CentOS 7.6) на 98%:
An error occurred during the conversion: 'SysCommandWrapper: Error encountered in SysCommand: SysCommand failed to wait /usr/lib/vmware-converter/chrootAndExec.sh to terminate.
Решается она даунгрейдом пакетов:
yum downgrade lvm2-libs-2.02.180-10.el7_6.2.x86_64 lvm2-2.02.180-10.el7_6.2.x86_64 device-mapper-event-libs-1.02.149-10.el7_6.2.x86_64 device-mapper-1.02.149-10.el7_6.2.x86_64 device-mapper-libs-1.02.149-10.el7_6.2.x86_64 device-mapper-event-1.02.149-10.el7_6.2.x86_64
А после миграции yum update вышеописанных пакетов.
На оф. сайте есть информация по другим ошибкам.
После успешной миграции столкнулся с непонятной особенностью. Смигрировалось всё без ошибок, но при старте уже в ESXi, вылезает окно с ошибкой startup cannot find command ‘:’. Пока не нажмешь “q”, ОС не загрузится. Возникает это из-за кривых правок файла /etc/grub2.cfg, где фигурируют символы “: #”, когда должен быть только знак комментариев – “#”. Для исправления открыть файл в редакторе Vim (или любым другим удобным) и выполнить замену всех двоеточий и пробелов между решёток на одиночную решетку :
Теперь при следующем ребуте загрузка будет без этих непонятных ошибок.
И в конце осталось только удалить XenServer Tools и установить VMware-tools:
yum remove xen* && yum install open-vm-tools
Проверить установленную версию можно командой:
Если ошибка unable to query the live linux source machine, при этом логин-пароль верные, стоит проверить подробный лог – мне помогла остановка Docker на исходной машине.
Также решение по проблемам с description = “GrubInstaller::InstallGrub: /usr/lib/vmware-converter/installGrub.sh failed with return code: 127, and message:
/vmware-updateGrub.sh: 38: grub: not found
Custom User Title
At work, I have been tasked with migrating our existing Xen Linux guests (RH on RH) to a new VMWare environment.
Since I have yet to find a very comprehensive procedure, I thought I’d write one.
This is a work in progress and as I fine tune the procedure I will update, but for those needing to do it, this should work for you:
How to Convert a Xen Linux Guest to VMWare
These are the high level to-do’s that are ahead of you. Please do not use this part of the guide to do the conversion, it is only a synapses of what you are in for.
Step 1: prep the source Xen guest for remote root/password access
Step 2: run the VMWare conversion process (confirm “new” disks are up to new standards)
Step 3: change nic to vmxnet3 in new VMWare guest settings
Step 4: boot the newly created VMWare guest off a Linux live CD; configure network
Step 5: mount converted file systems; chroot into this environment
Step 6: edit inittab; modprobe.conf
Step 7: install non-xen kernel version insuring the SAME kernel version
Step 8: edit grub.conf
Step 9: install vmware tools
Step 10: fix remote root/password access; reboot
Step 11: test test test. re-test.
Tools you need or need access to:
VMWare virtual center with permission to create new guests.
VMWare converter.
Access to Xen source as root.
**What comes next are records of crystals, not part of the piece**
┌──
[1]
Here is a relaxed TeRh3Cl crystal from the Alexandria database. Energies are from PBE.

Geometry as CIF:
```
data_TeRh3Cl
_cell_length_a 4.9139
_cell_length_b 4.9139
_cell_length_c 4.9139
_cell_angle_alpha 90.00
_cell_angle_beta 90.00
_cell_angle_gamma 90.00
_space_group_name_H-M_alt 'P 1'
_space_group_IT_number 1
loop_
_space_group_symop_operation_xyz
'x,y,z'
loop_
_atom_site_label
_atom_site_type_symbol
_atom_site_fract_x
_atom_site_fract_y
_atom_site_fract_z
Te1 Te 0.0000 0.0000 0.0000
Rh1 Rh 0.0000 0.0000 0.5000
Rh2 Rh 0.0000 0.5000 0.0000
Rh3 Rh 0.5000 0.0000 0.0000
Cl1 Cl 0.5000 0.5000 0.5000
```

Calculated values
Uncorrected energy   -22.266 eV for the cell shown
Excess energy over the best structure of this formula in the dataset   290 meV per atom
Uncorrected formation energy   955 meV/atom
Calculated density   6.60 Mg/m³

***

[2]
Here is a relaxed Sm4InCu crystal from the Alexandria database. Energies are from PBE.

Geometry as CIF:
```
data_Sm4InCu
_cell_length_a 6.3275
_cell_length_b 9.1822
_cell_length_c 6.1307
_cell_angle_alpha 90.00
_cell_angle_beta 105.86
_cell_angle_gamma 90.00
_space_group_name_H-M_alt 'P 1'
_space_group_IT_number 1
loop_
_space_group_symop_operation_xyz
'x,y,z'
loop_
_atom_site_label
_atom_site_type_symbol
_atom_site_fract_x
_atom_site_fract_y
_atom_site_fract_z
Sm1 Sm 0.0974 0.1715 0.1266
Sm2 Sm 0.0974 0.3285 0.6266
Sm3 Sm 0.3818 0.6542 0.9401
Sm4 Sm 0.3818 0.8458 0.4401
Sm5 Sm 0.6182 0.1542 0.5599
Sm6 Sm 0.6182 0.3458 0.0599
Sm7 Sm 0.9026 0.6715 0.3734
Sm8 Sm 0.9026 0.8285 0.8734
In1 In 0.5000 0.0000 0.0000
In2 In 0.5000 0.5000 0.5000
Cu1 Cu 0.0000 0.0000 0.5000
Cu2 Cu 0.0000 0.5000 0.0000
```

Calculated values
Uncorrected energy   -52.046 eV for the cell shown
Excess energy over the best structure of this formula in the dataset   145 meV per atom
Energy of formation from the pure elements   -0.05 eV per atom
Calculated density   7.56 Mg/m³

***

[3]
Here is a relaxed Sr2Cd6Hg21 crystal from the Alexandria database. Energies are from PBE.

Geometry as CIF:
```
data_Sr2Cd6Hg21
_cell_length_a 10.6019
_cell_length_b 10.6019
_cell_length_c 10.6019
_cell_angle_alpha 60.00
_cell_angle_beta 60.00
_cell_angle_gamma 60.00
_space_group_name_H-M_alt 'P 1'
_space_group_IT_number 1
loop_
_space_group_symop_operation_xyz
'x,y,z'
loop_
_atom_site_label
_atom_site_type_symbol
_atom_site_fract_x
_atom_site_fract_y
_atom_site_fract_z
Sr1 Sr 0.2500 0.2500 0.2500
Sr2 Sr 0.7500 0.7500 0.7500
Cd1 Cd 0.2239 0.2239 0.7761
Cd2 Cd 0.2239 0.7761 0.2239
Cd3 Cd 0.2239 0.7761 0.7761
Cd4 Cd 0.7761 0.2239 0.2239
Cd5 Cd 0.7761 0.2239 0.7761
Cd6 Cd 0.7761 0.7761 0.2239
Hg1 Hg 0.1243 0.1243 0.1243
Hg2 Hg 0.1243 0.1243 0.6272
Hg3 Hg 0.1243 0.6272 0.1243
Hg4 Hg 0.1550 0.5000 0.5000
Hg5 Hg 0.1550 0.5000 0.8450
Hg6 Hg 0.1550 0.8450 0.5000
Hg7 Hg 0.3728 0.8757 0.8757
Hg8 Hg 0.5000 0.1550 0.5000
Hg9 Hg 0.5000 0.1550 0.8450
Hg10 Hg 0.5000 0.5000 0.1550
Hg11 Hg 0.5000 0.5000 0.5000
Hg12 Hg 0.5000 0.5000 0.8450
Hg13 Hg 0.5000 0.8450 0.1550
└──
Access to Linux live CD media (typically already on a data store).
Fairly good knowledge of Linux command line tools and VMWare.
Step 1:
For the conversion process to work, the VMWare converter needs remote root/password access to the Xen guest you are converting.
Change the root password to something new and unique. DO NOT use the default root password during this process.
Note the current xen kernel version for use later.
Step 2:
Access VMWare Converter via client or direct log on to converter server.
Enter hostname, root and password. Feel free to review source machine to insure proper access.
Make sure to convert only those files systems that are required (no NAS mounts for instance).
Make sure NEW file systems adhere to any new or updated policy regarding size. Adjust accordingly.
Select the option to configure the network using a unique IP (unless your server network uses DHCP) and NOT the source machines IP.
IF THIS IS A REAL CONVERSION AND NOT JUST A TEST: Make sure to select the option to power off the source Xen machine (leave the new machine off as well).
Run the conversion process.
Connect to VC, open the console of the new VMWare machine that the conversion process is creating.
NOTE: for some reason (a bug?), the NEW “helper” VM sometimes cannot get on the network on its own. You must log into it as root using the temp password you created on the source Xen machine, and ping something off the network. This will kick start the networking and you should now see the converter doing its thing.
NOTE: In order to access the new «helper» VM that the converter creates, you must first configure the converter itself to allow such a thing, BEFORE you begin this process. I’ll link to those instructions when I find them again. This change will allow you to log into the helper VM using the source Xen credentials.
Enjoy an espresso or two while you wait.
Once done, both the source Xen machine and the new VMWare machine should be powered off automatically.
IF THIS IS A REAL CONVERSION: Disable the source Xen network configuration to insure it doesn’t come back on the network. This process documented elsewhere.
Re-configure the new VMWare machine to use the vmxnet3 nic driver (remove existing e1000 and add a new vmxnet3 nic), and also point the CDROM to a Linux live CD of your choice (I’ll use Fedora in this document).
Also change the boot option delay to at least 10ms (or higher) to make your life easier.
NOTE: The new VMWare guest WILL NOT boot up in its existing condition. This is a known problem we are about to address.
Boot the new VMWare machine via the Linux live CD.
Configure the live CD network with any available IP (the source Xen IP is fine to use here if you are on the same network obviously).
From the Linux live cd, mount the guest file systems (the specifics will depend on what your source Xen machine looked like):
open a terminal:
$ su — (no password is needed on the Fedora live cd)
# mkdir /mnt/server
# mount /dev/mapper/vgroot-lvroot /mnt/server
# mount /dev/sda1 /mnt/server/boot
# mount /dev/mapper/vgroot-lvusr /mnt/server/usr
# mount /dev/mapper/vgroot-lvopt /mnt/server/opt
# mount /dev/mapper/vgroot-lvvar /mnt/server/var
# mount —bind /dev /mnt/server/dev/
chroot into this environment:
#chroot /mnt/server
mount proc:
#mount /proc /proc -t proc
Edit /etc/inittab and comment out the Xen console line:
(At my office, the first getty line is co:blahblahblah, which is the Xen console. You don’t need this so comment it out)
Edit /etc/modprobe.conf to include new scsi driver and vmxnet3 driver:
This is key. Xen uses a different scsi controller than vmware.
Comment out the xenblk line and make sure you have:
alias eth0 vmxnet3 —- the recommended vmware nic driver
alias scsi_hostadapter mptbase —— the recommended vmware scsi adapter
alias scsi_hostadapter1 mptspi —— the recommended vmware scsi adapter
Install non-Xen version of the SAME kernel as the source Xen machine (you can look at /boot and /boot/grub/grub.conf for which kernel if you didn’t note this in Step 1 as instructed):
# yum install kernel-XXXXXXXXXXXX
Edit grub to make this new kernel the default:
default=(what ever line your new non-Xen kernel is
From the VC client, choice to “Install VMWare tools” for this machine.
Mount the CDRom (again, this is from within the chroot’d environment):
# mkdir /media/cdrom
# mount /dev/cdrom /media/cdrom
Explode the vmware-tools installation files:
# tar -zxvf /media/cdrom/YYYYYYYY -C /var/tmp/
run the installer:
# ./vmware-install
You may have to pick a screen size IF x-server is installed on this guest already.
Pick 1024×768 unless you know a reason not to.
fix the sshd config file (if you normally dis-allow remote root access) and change the root password back to the current one.
Test access; test for proper kernel version; test; test; test; test.